A/N: Okey dokey then. I've finished this story. For now . What I've decided is that this is going to be the last chapter of the fic, HOWEVER if all of you nice people give me one last review for this story and take the time to tell me your favourite bits, anything you would have liked to seen included and a quick (truthful) rating out of ten, I may be convinced to write a sequel.

Baisically at the moment I have about a million unfinished stories so I'm trying to sort that out, however I do love this story so even though I'm finishing it here I'm thinking of writing a sequel of sorts that focuses on Darla, Dru, Angelus and William.

Anyway, I hope you liked it, and this chapter is the end. Sort of, I didn't know how to end it, so I didn't really, I'm just stopping for a while before I do a sequel. Any ideas for a name of that?

I will also be looking for a beta reader for the new fic (whenever I decide to start it) As I can never be bothered to read my own stories more than once, and even when I do I don't spot my mistakes, so if you'd be interested then please e-mail me.

== Data records that have nothing to do with the piece ==
- - -
For Mg6GaW, a crystal structure in the Materials Project, relaxed with GGA-PBE gives the calculated X-ray powder pattern in this record (copper Kα).
Peak positions follow from Bragg's law for the DFT cell and can differ from measured ones.

Atomic structure:
a = 4.954 Å, b = 5.863 Å, c = 10.706 Å
α = 90.00°, β = 90.00°, γ = 90.00°
Positions (direct):
Mg  0.000  0.000  0.000
Mg  0.000  0.000  0.494
Mg  0.000  0.240  0.257
Mg  0.000  0.260  0.757
Mg  0.000  0.500  0.500
Mg  0.000  0.500  0.994
Mg  0.000  0.740  0.757
Mg  0.000  0.760  0.257
Mg  0.500  0.248  0.591
Mg  0.500  0.252  0.091
Mg  0.500  0.748  0.091
Mg  0.500  0.752  0.591
Ga  0.500  0.000  0.840
Ga  0.500  0.500  0.340
W  0.500  0.000  0.343
W  0.500  0.500  0.843

Principal peaks in the range 10° ≤ 2θ ≤ 90°, in order of falling intensity:
hkl	2theta	Rel. int.
1 2 2	39.49	100
0 0 2	16.56	71
1 0 4	38.22	60
1 0 0	17.91	56
1 0 2	24.48	51
0 2 2	34.90	42
2 0 0	36.27	41
0 1 1	17.24	37
2 2 2	51.21	31
1 1 1	24.96	27
- - -

Anyway, I've finished a story for the first time and the sequel will be on its way when I've got a few of my other stories sorted out (or most likely before then) And just incase you were wondering, no it won't be a plain, boring 'everything has worked out and now we're all happy' fic. Those are just boring. Unless they have lots of violence. And steamy scenes with my two favourite vampires.

On with my last chapter of 'Caged', thanks for reading and please review one last time (or the first time if you've never done so before)


"WILLIAM!" The voice echoed off the walls from the downstairs kitchen all the way up to William's bedroom he'd been living in for the last couple of weeks whilst the older vampires 'tied up loose ends' before their move to England. Which was today, and everyone seemed a little on edge.

"WILLIAM!" He rolled his eyes and tossed his shirt on the bed before walking to the top of ther steps wearing nothing but his leather trousers with a cigarette hanging out of his mouth.


"I told you to get everything packed and down here by eight this morning. It's now," Angelus spared a glance at his watch, "Half past ten. In case you hadn't realised we're going today and you should have been ready by now."

"We're going today? Why didn't you mention it before? I don't think the first fifty times were enough."

"Don't start getting cheeky with me Boy, you've got half an hour to be down here and packed or we're leaving without you."

It was an empty threat and they both knew it, it was just the Angelus version of 'Do what I say or I'll beat the crap out of you'. Angelus looked pointedly at his watch again.

"Twenty Eight and a half minutes now." Without waiting for a reply he turned around and started yelling at the minions who were scurrying in a mad rush desperate to please their master. Wankers.

William went back into his room and fell down onto his bed looking at the ceiling. After his first day back everything had changed back to as if they hadn't all been split up for the last century. Dru came back a few days later and to his surprise William had found that he didn't feel as much for her any more.

┌──
[1]
This entry pairs a crystal structure of InRuO4 with its calculated X-ray powder pattern. Radiation: Cu Ka. Structure: a cell relaxed with PBE.
Neutral-atom scattering factors, no anomalous dispersion.

Crystal structure
```
data_InRuO4
_symmetry_space_group_name_H-M 'I -4 m 2'
_symmetry_Int_Tables_number 119
_symmetry_space_group_name_Hall 'I -4 -2'
_cell_length_a 3.766
_cell_length_b 3.766
_cell_length_c 11.864
_cell_angle_alpha 90.00
_cell_angle_beta 90.00
_cell_angle_gamma 90.00
loop_
_atom_site_label
_atom_site_type_symbol
_atom_site_fract_x
_atom_site_fract_y
_atom_site_fract_z
In1 In 0.000 0.000 0.000
Ru1 Ru 0.000 0.500 0.250
O1 O 0.000 0.000 0.241
O2 O 0.000 0.500 0.077
```

Top 6 peaks for 10° ≤ 2θ ≤ 80°, by intensity:
(hkl), d [Å], 2θ/deg, I/Imax
1 0 1, 3.589, 24.8, 100
1 1 2, 2.429, 37.0, 35
2 0 4, 1.589, 58.1, 33
0 0 4, 2.966, 30.1, 31
1 0 3, 2.727, 32.8, 29
2 0 0, 1.883, 48.3, 22


[2]
This entry pairs a crystal structure of SrNdInCu with its calculated X-ray powder pattern. Radiation: Cu Ka. Structure: a cell relaxed with PBE.
Neutral-atom scattering factors, no anomalous dispersion.

Crystal structure
```
data_SrNdInCu
_symmetry_space_group_name_H-M 'F -4 3 m'
_symmetry_Int_Tables_number 216
_symmetry_space_group_name_Hall 'F -4 2 3'
_cell_length_a 7.686
_cell_length_b 7.686
_cell_length_c 7.686
_cell_angle_alpha 90.00
_cell_angle_beta 90.00
_cell_angle_gamma 90.00
loop_
_atom_site_label
_atom_site_type_symbol
_atom_site_fract_x
_atom_site_fract_y
_atom_site_fract_z
Sr1 Sr 0.000 0.000 0.000
Nd1 Nd 0.000 0.000 0.500
In1 In 0.250 0.250 0.750
Cu1 Cu 0.250 0.250 0.250
```

Top 6 peaks for 10° ≤ 2θ ≤ 80°, by intensity:
(hkl), d [Å], 2θ/deg, I/Imax
2 2 0, 2.717, 33.0, 100
4 2 2, 1.569, 58.9, 37
4 0 0, 1.921, 47.3, 18
6 2 0, 1.215, 78.7, 15
4 4 0, 1.359, 69.1, 11
1 1 1, 4.438, 20.0, 7


[3]
This entry pairs a crystal structure of MgBeB14 with its calculated X-ray powder pattern. Radiation: Cu Ka. Structure: a cell relaxed with PBE.
Neutral-atom scattering factors, no anomalous dispersion.

Crystal structure
```
data_MgBeB14
_symmetry_space_group_name_H-M 'I m m a'
_symmetry_Int_Tables_number 74
_symmetry_space_group_name_Hall '-I 2b 2'
_cell_length_a 5.778
_cell_length_b 10.181
_cell_length_c 8.110
_cell_angle_alpha 90.00
_cell_angle_beta 90.00
_cell_angle_gamma 90.00
loop_
_atom_site_label
_atom_site_type_symbol
_atom_site_fract_x
_atom_site_fract_y
_atom_site_fract_z
Mg1 Mg 0.000 0.250 0.137
Be1 Be 0.250 0.250 0.750
B1 B 0.000 0.088 0.672
B2 B 0.000 0.156 0.871
B3 B 0.000 0.166 0.472
B4 B 0.160 0.063 0.338
B5 B 0.248 0.081 0.953
```

Top 6 peaks for 10° ≤ 2θ ≤ 80°, by intensity:
(hkl), d [Å], 2θ/deg, I/Imax
1 2 3, 2.207, 40.9, 100
2 2 0, 2.513, 35.7, 80
1 2 1, 3.456, 25.8, 76
2 3 1, 2.123, 42.6, 60
1 3 2, 2.373, 37.9, 43
3 5 2, 1.323, 71.3, 33


[4]
This entry pairs a crystal structure of Dy7Y2Tm with its calculated X-ray powder pattern. Radiation: Cu Ka. Structure: a cell relaxed with PBE.
└──

He still loved her, he always would, but his stage of mad devotion to her had faded away, and she seemed to understand that. At the moment his focus was on Angelus, and despite annoying him on a regular basis, he still tried to spend as much time with him as possible.

Unfortunately Darla seemed to have the same idea of spending time with Angelus as he did and the sire came first, she always did. Not that that meant he wasn't spending any time with Angelus, far from it, he was just... Well he wasn't going to admit he was actually jealous of Darla because that would never happen, but it was getting pretty close to that.

Life was good. He'd admit that. Well maybe not good, but better. And as hard as it was to admit it he still missed the scoobies. He hadn't said anything to Angelus about it and didn't intend to but Drusilla seemed to know, then again she knew most things about people's feelings, normally before they even did.

So, he was back with his family, getting fucked reguarly, though not reguarly enough, by his Sire, still enjoying Drusilla's company and her tea parties and still getting complained at constantly by the older vampires in the house, and getting chained to the wall in the basement for insulting people who couldn't take a joke.

In the end, life was back to normal, he'd found it hard to accept at first, he'd wanted it for so long it was strange now it had happened. It had all been quick, the chip had come out and he had been isntantly accepted back into Sunnydale's vampire community, not that that mattered much seeing as they were leaving soon, but it all meant things were back to normal.


Yeah, life was definitley back to normal.